**Brief:**
Give back the data underneath from the first line to the one with "0.0941 0.9059" character by character.

**File:**
........
# 1
Theoretical XRD peak list
Compound: Cu3O2
Radiation: a wavelength of 1.5418 Å
Structure: the GGA-PBE geometry in the Materials Project

Main lines, low angle first (2θ from 10° to 90°):
| two_theta | intensity | h k l |
| --- | --- | --- |
| 25.13 | 539 | 1 0 1 |
| 31.26 | 344 | 1 1 0 |
| 39.94 | 1000 | 1 1 2 |
| 43.18 | 123 | 1 0 3 |
| 44.80 | 654 | 2 0 0 |
| 49.63 | 235 | 0 0 4 |
| 52.05 | 137 | 2 1 1 |
| 65.22 | 188 | 2 2 0 |
| 69.07 | 310 | 2 0 4 |
| 79.29 | 249 | 3 1 2 |
| 86.17 | 160 | 2 2 4 |
| 86.44 | 100 | 1 1 6 |

Cell lengths 4.046, 4.046, 7.347 Å; angles 90.00, 90.00, 90.00 degrees
Space group I4/mmm (No. 139)
Asymmetric unit:
Cu 0.000 0.000 0.000 x2
Cu 0.000 0.500 0.250 x4
O 0.000 0.500 0.000 x4

=====

# 2
Theoretical XRD peak list
Compound: Mg14NbBiO16
Radiation: a wavelength of 1.5418 Å
Structure: the GGA-PBE geometry in the Materials Project

Main lines, low angle first (2θ from 10° to 90°):
| two_theta | intensity | h k l |
| --- | --- | --- |
| 10.07 | 1000 | 0 1 0 |
| 22.38 | 398 | 1 1 0 |
| 22.55 | 394 | 0 1 2 |
| 28.51 | 404 | 1 2 0 |
| 30.28 | 458 | 1 1 2 |
| 35.17 | 582 | 1 2 2 |
| 40.52 | 526 | 2 0 0 |
| 40.87 | 509 | 0 0 4 |
| 41.13 | 487 | 0 4 0 |
| 58.91 | 312 | 2 0 4 |
| 59.11 | 301 | 2 4 0 |
| 59.38 | 295 | 0 4 4 |

Cell lengths 4.453, 8.779, 8.831 Å; angles 90.00, 90.00, 90.00 degrees
Space group Pmmm (No. 47)
Asymmetric unit:
Mg 0.000 0.000 0.000 x1
Mg 0.000 0.000 0.500 x1
Mg 0.000 0.240 0.245 x4
Mg 0.500 0.000 0.248 x2
Mg 0.500 0.236 0.500 x2
Mg 0.500 0.244 0.000 x2
Mg 0.500 0.500 0.240 x2
Nb 0.000 0.500 0.000 x1
Bi 0.000 0.500 0.500 x1
O 0.000 0.000 0.246 x2
O 0.000 0.226 0.500 x2
O 0.000 0.237 0.000 x2
O 0.000 0.500 0.243 x2
O 0.500 0.000 0.000 x1
O 0.500 0.000 0.500 x1
O 0.500 0.251 0.250 x4
O 0.500 0.500 0.000 x1
O 0.500 0.500 0.500 x1

~~~~~

Entry 1:
Theoretical powder diffractogram
Compound: La8Sm3In2
Radiation: Cu Kα, 1.54184 Å
Structure: a crystal structure in Alexandria, relaxed with PBE
Lines closer than 0.1° are merged.

Principal peaks in the range 10° ≤ 2θ ≤ 90°, in order of falling intensity:
2θ/deg	Rel. int.
30.1	100
30.5	96
34.6	34
35.2	33
35.6	31
59.7	26
50.8	22
50.4	21
58.9	13
60.5	12

Lattice parameters (Å, degrees): 8.0067 8.0621 8.1353 106.07 107.90 107.78
Fractional coordinates of all 13 atoms:
1 La 0.1442 0.3511 0.0420
2 La 0.2093 0.5700 0.7525
3 La 0.2804 0.8071 0.4109
4 La 0.3417 0.0224 0.1039
5 La 0.6583 0.9776 0.8961
6 La 0.7196 0.1929 0.5891
7 La 0.7907 0.4300 0.2475
8 La 0.8558 0.6489 0.9580
9 Sm 0.0372 0.1174 0.3615
10 Sm 0.5000 0.5000 0.5000
11 Sm 0.9628 0.8826 0.6385
12 In 0.4074 0.2457 0.7862
13 In 0.5926 0.7543 0.2138

***

Entry 2:
Theoretical powder diffractogram
Compound: RbTh2P3O12
Radiation: Cu Kα, 1.54184 Å
Structure: a crystal structure in Alexandria, relaxed with PBE
Lines closer than 0.1° are merged.

Principal peaks in the range 10° ≤ 2θ ≤ 90°, in order of falling intensity:
2θ/deg	Rel. int.
28.9	100
19.8	74
26.6	68
30.6	51
13.7	48
18.3	44
26.3	39
25.1	34
32.3	32
41.1	30

Lattice parameters (Å, degrees): 9.6406 9.6406 8.2490 101.75 101.75 42.30
Fractional coordinates of all 36 atoms:
1 Rb 0.0941 0.9059 0.7500
2 Rb 0.9059 0.0941 0.2500
3 Th 0.2509 0.4403 0.9671
4 Th 0.4403 0.2509 0.4671
5 Th 0.5597 0.7491 0.5329
6 Th 0.7491 0.5597 0.0329
7 P 0.1004 0.2841 0.6820
8 P 0.2841 0.1004 0.1820
9 P 0.4054 0.5946 0.2500
10 P 0.5946 0.4054 0.7500
11 P 0.7160 0.8996 0.8180
12 P 0.8996 0.7160 0.3180
13 O 0.0516 0.2381 0.1497
14 O 0.0517 0.3573 0.8699
15 O 0.1023 0.5867 0.4295
16 O 0.2245 0.3290 0.6702
17 O 0.2381 0.0516 0.6497
18 O 0.2565 0.6881 0.0909
19 O 0.3119 0.7435 0.4091
20 O 0.3290 0.2245 0.1702
21 O 0.3573 0.0517 0.3699
22 O 0.3977 0.4595 0.7575
23 O 0.4133 0.8977 0.0705
24 O 0.4595 0.3977 0.2575
25 O 0.5405 0.6023 0.7425
26 O 0.5867 0.1023 0.9295
27 O 0.6023 0.5405 0.2425
28 O 0.6427 0.9483 0.6301
29 O 0.6710 0.7755 0.8298
30 O 0.6881 0.2565 0.5909
31 O 0.7435 0.3119 0.9091
32 O 0.7619 0.9484 0.3503
33 O 0.7755 0.6710 0.3298
........

**Reply:**
# 1
Theoretical XRD peak list
Compound: Cu3O2
Radiation: a wavelength of 1.5418 Å
Structure: the GGA-PBE geometry in the Materials Project

Main lines, low angle first (2θ from 10° to 90°):
| two_theta | intensity | h k l |
| --- | --- | --- |
| 25.13 | 539 | 1 0 1 |
| 31.26 | 344 | 1 1 0 |
| 39.94 | 1000 | 1 1 2 |
| 43.18 | 123 | 1 0 3 |
| 44.80 | 654 | 2 0 0 |
| 49.63 | 235 | 0 0 4 |
| 52.05 | 137 | 2 1 1 |
| 65.22 | 188 | 2 2 0 |
| 69.07 | 310 | 2 0 4 |
| 79.29 | 249 | 3 1 2 |
| 86.17 | 160 | 2 2 4 |
| 86.44 | 100 | 1 1 6 |

Cell lengths 4.046, 4.046, 7.347 Å; angles 90.00, 90.00, 90.00 degrees
Space group I4/mmm (No. 139)
Asymmetric unit:
Cu 0.000 0.000 0.000 x2
Cu 0.000 0.500 0.250 x4
O 0.000 0.500 0.000 x4

=====

# 2
Theoretical XRD peak list
Compound: Mg14NbBiO16
Radiation: a wavelength of 1.5418 Å
Structure: the GGA-PBE geometry in the Materials Project

Main lines, low angle first (2θ from 10° to 90°):
| two_theta | intensity | h k l |
| --- | --- | --- |
| 10.07 | 1000 | 0 1 0 |
| 22.38 | 398 | 1 1 0 |
| 22.55 | 394 | 0 1 2 |
| 28.51 | 404 | 1 2 0 |
| 30.28 | 458 | 1 1 2 |
| 35.17 | 582 | 1 2 2 |
| 40.52 | 526 | 2 0 0 |
| 40.87 | 509 | 0 0 4 |
| 41.13 | 487 | 0 4 0 |
| 58.91 | 312 | 2 0 4 |
| 59.11 | 301 | 2 4 0 |
| 59.38 | 295 | 0 4 4 |

Cell lengths 4.453, 8.779, 8.831 Å; angles 90.00, 90.00, 90.00 degrees
Space group Pmmm (No. 47)
Asymmetric unit:
Mg 0.000 0.000 0.000 x1
Mg 0.000 0.000 0.500 x1
Mg 0.000 0.240 0.245 x4
Mg 0.500 0.000 0.248 x2
Mg 0.500 0.236 0.500 x2
Mg 0.500 0.244 0.000 x2
Mg 0.500 0.500 0.240 x2
Nb 0.000 0.500 0.000 x1
Bi 0.000 0.500 0.500 x1
O 0.000 0.000 0.246 x2
O 0.000 0.226 0.500 x2
O 0.000 0.237 0.000 x2
O 0.000 0.500 0.243 x2
O 0.500 0.000 0.000 x1
O 0.500 0.000 0.500 x1
O 0.500 0.251 0.250 x4
O 0.500 0.500 0.000 x1
O 0.500 0.500 0.500 x1

~~~~~

Entry 1:
Theoretical powder diffractogram
Compound: La8Sm3In2
Radiation: Cu Kα, 1.54184 Å
Structure: a crystal structure in Alexandria, relaxed with PBE
Lines closer than 0.1° are merged.

Principal peaks in the range 10° ≤ 2θ ≤ 90°, in order of falling intensity:
2θ/deg	Rel. int.
30.1	100
30.5	96
34.6	34
35.2	33
35.6	31
59.7	26
50.8	22
50.4	21
58.9	13
60.5	12

Lattice parameters (Å, degrees): 8.0067 8.0621 8.1353 106.07 107.90 107.78
Fractional coordinates of all 13 atoms:
1 La 0.1442 0.3511 0.0420
2 La 0.2093 0.5700 0.7525
3 La 0.2804 0.8071 0.4109
4 La 0.3417 0.0224 0.1039
5 La 0.6583 0.9776 0.8961
6 La 0.7196 0.1929 0.5891
7 La 0.7907 0.4300 0.2475
8 La 0.8558 0.6489 0.9580
9 Sm 0.0372 0.1174 0.3615
10 Sm 0.5000 0.5000 0.5000
11 Sm 0.9628 0.8826 0.6385
12 In 0.4074 0.2457 0.7862
13 In 0.5926 0.7543 0.2138

***

Entry 2:
Theoretical powder diffractogram
Compound: RbTh2P3O12
Radiation: Cu Kα, 1.54184 Å
Structure: a crystal structure in Alexandria, relaxed with PBE
Lines closer than 0.1° are merged.

Principal peaks in the range 10° ≤ 2θ ≤ 90°, in order of falling intensity:
2θ/deg	Rel. int.
28.9	100
19.8	74
26.6	68
30.6	51
13.7	48
18.3	44
26.3	39
25.1	34
32.3	32
41.1	30

Lattice parameters (Å, degrees): 9.6406 9.6406 8.2490 101.75 101.75 42.30
Fractional coordinates of all 36 atoms:
1 Rb 0.0941 0.9059 0.7500